“Forgiveness is Divine but never pay full price for late Pizza.” Michelangelo The Teenage Mutant Ninja Turtle.

Forgiving someone who hurt you is incredibly hard. I wish there was an easy answer or way to do it. The following are the things that I have done or think about to help me forgive. Comment and let me know what you think. Do you have someone you need to forgive? What helps you forgive others? Let me know.
<<<
# 1
One molecule with the formula C2H7N3OS, computed with ωB97M-V/def2-TZVPD.

Relative energy (zero: lowest compared OMol25 entry of this formula, charge and spin) in kcal per mole: 68.8
Lowest unoccupied orbital energy in Eh: 0.0224
DFT total energy in hartree: -717.96631
Frontier orbital gap in eV: 8.741
SMILES string: CN/C(=N/S)NO
HOMO energy in Eh: -0.2988

Positions of all 14 atoms, in Å:
C  -1.20  -1.59  0.19
N  -0.89  -0.12  -0.24
C  0.42  0.33  0.03
N  1.41  -0.55  0.09
S  2.94  0.19  0.11
N  0.46  1.67  0.27
O  -0.78  2.30  0.12
H  -1.15  -1.69  1.39
H  -2.23  -1.85  -0.15
H  -0.48  -2.39  -0.27
H  -1.60  0.40  0.24
H  3.37  -0.68  -0.85
H  1.17  2.23  -0.27
H  -1.42  1.77  -0.67

Results of the Mulliken charge analysis, in e, for atoms 1 through 5: -0.80 -0.46 0.57 -0.46 -0.27

***

# 2
One molecule with the formula C16H18N4OS, computed with ωB97M-V/def2-TZVPD.

Relative energy (zero: lowest compared OMol25 entry of this formula, charge and spin) in kcal per mole: 12.2
Lowest unoccupied orbital energy in Eh: 0.0227
DFT total energy in hartree: -1312.96744
Frontier orbital gap in eV: 8.603
SMILES string: Cc1cccc(NCC(=O)NNC(=S)Nc2ccccc2)c1
HOMO energy in Eh: -0.2934

Positions of all 40 atoms, in Å:
C  1.09  -3.08  -0.47
C  -0.34  -2.89  -0.89
C  -1.31  -3.80  -0.52
C  -2.63  -3.60  -0.89
C  -2.99  -2.47  -1.60
C  -2.03  -1.53  -1.96
N  -2.43  -0.35  -2.58
C  -1.49  0.56  -3.18
C  -0.57  1.18  -2.14
O  0.55  1.59  -2.37
N  -1.14  1.28  -0.91
N  -0.33  1.58  0.18
C  -0.45  0.85  1.31
S  -1.83  -0.02  1.62
N  0.52  0.95  2.25
C  1.84  1.41  2.12
C  2.44  2.01  3.22
C  3.75  2.45  3.15
C  4.47  2.29  1.98
C  3.88  1.67  0.89
C  2.58  1.22  0.96
C  -0.70  -1.76  -1.61
H  1.36  -4.14  -0.50
H  1.23  -2.73  0.55
H  1.77  -2.53  -1.11
H  -1.04  -4.68  0.05
H  -3.39  -4.31  -0.61
H  -4.02  -2.31  -1.88
H  -3.33  -0.42  -3.05
H  -0.85  0.09  -3.94
H  -2.04  1.37  -3.66
H  -1.96  0.74  -0.65
H  0.55  2.00  -0.10
H  0.23  0.65  3.18
H  1.88  2.13  4.14
H  4.20  2.92  4.01
H  5.49  2.64  1.92
H  4.44  1.52  -0.02
H  2.16  0.69  0.12
H  0.07  -1.07  -1.90

Results of the Mulliken charge analysis, in e, for atoms 1 through 5: -1.62 0.45 -0.67 -0.64 -0.78

***

# 3
One molecule with the formula C4H4O2, computed with ωB97M-V/def2-TZVPD.

Relative energy (zero: lowest compared OMol25 entry of this formula, charge and spin) in kcal per mole: 37.7
Lowest unoccupied orbital energy in Eh: 0.0245
DFT total energy in hartree: -305.21930
Frontier orbital gap in eV: 11.310
SMILES string: C#CC(=O)OC
HOMO energy in Eh: -0.3911

Positions of all 10 atoms, in Å:
C  2.82  -0.31  -0.52
C  1.73  0.12  -0.24
C  0.38  0.27  0.29
O  0.13  0.05  1.45
O  -0.54  0.55  -0.65
C  -1.85  0.08  -0.28
H  3.78  -0.68  -0.78
H  -2.54  0.46  -1.03
H  -1.82  -1.02  -0.32
H  -2.12  0.39  0.72

Results of the Mulliken charge analysis, in e, for atoms 1 through 5: 0.02 -0.26 0.43 -0.49 -0.31

***

# 4
C20H23DyN3O3 as an isolated structure, computed with ωB97M-V/def2-TZVPD.
>>>

Between two parts of the article: records of molecules >
A cluster of 2 separate species, C4H10OS in total at a distorted geometry, computed with ωB97M-V/def2-TZVPD.

XYZ file:
```
16
Properties=species:S:1:pos:R:3:mulliken_charge:R:1
S -0.996 -2.836 -0.718 -0.05
O 2.924 1.152 0.667 -0.47
C -0.953 -1.529 0.494 -0.91
C 1.837 3.234 0.364 -0.76
C 2.298 2.255 1.111 0.15
C -2.547 -2.361 -1.496 -0.85
H -0.196 -1.738 1.252 0.31
H 1.981 3.168 -0.704 0.22
H -0.649 -0.550 0.153 0.31
H 2.318 2.187 2.186 0.34
H -1.864 -1.364 1.053 0.32
H 3.232 1.258 -0.247 0.27
H -2.690 -2.964 -2.401 0.29
H -3.378 -2.646 -0.845 0.28
H 1.363 4.048 0.887 0.25
H -2.681 -1.315 -1.755 0.30
```

## Properties
Orbital gap: 0.34294 hartree
SMILES: C=CO.CSC
Energy relative to the best compared isomer or geometry (same formula, charge and spin): 120.5 kJ/mol



A cluster of 2 separate species, C4H10OS in total at a distorted geometry, computed with ωB97M-V/def2-TZVPD.

XYZ file:
```
16
Properties=species:S:1:pos:R:3:mulliken_charge:R:1
S 1.774 4.138 -1.420 -0.19
O -1.133 -1.952 1.747 -0.55
C -1.013 -2.447 0.638 0.80
C 1.726 4.442 0.365 -0.69
C 0.274 -3.099 0.190 -1.01
C -2.143 -2.444 -0.365 -1.01
H 0.803 5.014 -1.757 0.11
H -1.843 -1.900 -1.276 0.30
H -3.034 -1.952 0.060 0.28
H 1.033 -3.043 0.989 0.28
H 1.971 5.488 0.614 0.26
H 2.485 3.785 0.820 0.24
H -2.410 -3.477 -0.644 0.30
H 0.100 -4.160 -0.056 0.30
H 0.742 4.198 0.801 0.27
H 0.669 -2.591 -0.706 0.30
```

## Properties
Orbital gap: 0.36141 hartree
SMILES: CC(C)=O.CS
Energy relative to the best compared isomer or geometry (same formula, charge and spin): 25.2 kJ/mol
Back to the article >
  • Saying the words “I forgive you” out loud. I don’t know why this helps, but when I have become bitter (bitterness = unwillingness to forgive and holding on to the hurt that another person caused you) at another human being this has helped. For years I held onto some bitterness against someone. One day a few years ago I was thinking about how this person hurt me, and I was pretty upset. At that moment something clicked in me. You see some of Jesus last words were “Father forgive them…”. He said this out loud for everyone to hear. Why? I don’t know, but saying the words “I forgive you” out loud worked for Jesus and so I gave it a shot. I said out loud I forgive ______ for doing _______ to me. My relationship with this person hasn’t been the same since. I’ve truly forgiven them and saying it out loud is what aloud me to finally let it go.
  • I once read that forgiving someone has nothing to do with the other person it has everything to do with you. When you are bitter towards someone it doesn’t affect the other person. They don’t think about it, know about it, dwell on it etc. But when you are bitter you hold onto it, carry the burden with you, and it affects you a ton! Learning to forgive is about not carrying that burden any longer. It’s about letting go. Decide in your heart that you will no longer carry the burden and then let it go.
  • Learning to understand how God forgives us. Our poor choices (or sin) are what put Jesus on the cross. We sin all the time and it is in complete rebellion to God. Yet, when we ask God to forgive us, somehow God forgives us and loves us like it never happened. Understanding that God is not bitter at me helps me learn to forgive others. Jesus forgave a cruel group of self righteous men who basically had Him murdered on a cross, He forgave one of His closest friends who denied Him, He forgives me when I rebel against Him. That is challenging because I’ve never been hurt like that. If Jesus can forgive then I need to.
  • Pray for that person. Jesus said to pray for our enemies. It is difficult to pray for someone you hate.
Someone pasted molecular data at this point:
'''
Below is a molecular structure, C34H76Br2NO8S2 in a non-equilibrium geometry, with properties calculated with the ωB97M-V functional and the def2-TZVPD basis.

Last column: Löwdin charge in e.
Positions of all 123 atoms, in Å:
C (3.4850, 3.7289, 2.6419)  -0.092
C (4.1647, 3.9923, 1.2429)  -0.257
C (3.2298, 3.5884, 0.0495)  -0.197
C (3.4582, 2.0788, -0.3642)  -0.177
C (2.1512, 1.2414, -0.0828)  -0.189
C (1.7209, 0.4122, -1.3599)  -0.211
C (1.1964, 1.3258, -2.5159)  -0.186
C (0.4611, 0.5380, -3.6687)  -0.196
C (-0.6353, -0.4430, -3.1359)  -0.201
C (-0.1224, -1.8880, -2.8207)  -0.212
C (-1.2555, -2.6245, -2.0102)  -0.203
C (-1.4185, -1.9941, -0.5818)  -0.194
C (-2.7681, -1.2347, -0.3297)  -0.181
C (-2.6362, 0.3187, -0.1952)  -0.235
C (-1.4452, 0.8013, 0.6933)  -0.229
S (-1.7028, 2.5758, 1.0825)  0.602
O (-2.7017, 3.1714, 0.1314)  -0.389
O (-0.4359, 3.3595, 0.9542)  -0.395
N (-2.4180, 2.6662, 2.6209)  -0.360
S (-1.4443, 1.8610, 3.7229)  0.480
O (0.0138, 1.9635, 3.4024)  -0.421
O (-1.8815, 0.4477, 3.9680)  -0.415
C (-1.6655, 2.7197, 5.3627)  -0.743
Br (-3.5499, 3.3221, 5.5296)  0.683
C (-1.4446, 1.6397, 6.4930)  -0.787
C (-1.4925, 2.4174, 7.8750)  -0.182
Br (0.3235, 0.7698, 6.3467)  0.700
H (3.5200, 2.6526, 2.9033)  0.050
H (2.4497, 4.1411, 2.6493)  0.081
H (4.0673, 4.2968, 3.4028)  0.063
H (5.1459, 3.4638, 1.1770)  0.095
H (4.3840, 5.0820, 1.1438)  0.091
H (2.1813, 3.7815, 0.3766)  0.093
H (3.4147, 4.2025, -0.8643)  0.099
H (4.3351, 1.6575, 0.1820)  0.093
H (3.6783, 1.9841, -1.4532)  0.089
H (1.3100, 1.8523, 0.3162)  0.075
H (2.3944, 0.4903, 0.7123)  0.093
H (2.6489, -0.0905, -1.7241)  0.115
H (0.9891, -0.3462, -1.0116)  0.059
H (0.5419, 2.1337, -2.1199)  0.121
H (2.0772, 1.8311, -2.9799)  0.101
H (1.1665, 0.0412, -4.3778)  0.108
H (-0.0672, 1.3143, -4.2768)  0.099
H (-1.1613, 0.0363, -2.2750)  0.091
H (-1.4045, -0.5306, -3.9440)  0.108
H (0.8609, -1.9254, -2.3092)  0.094
H (0.0074, -2.4133, -3.7995)  0.107
H (-0.9362, -3.6904, -1.9230)  0.098
H (-2.1909, -2.6115, -2.6091)  0.100
H (-0.5056, -1.3959, -0.3836)  0.081
H (-1.3925, -2.8415, 0.1481)  0.107
H (-3.4927, -1.4793, -1.1451)  0.107
H (-3.2274, -1.6222, 0.6078)  0.107
H (-2.6198, 0.8597, -1.1690)  0.100
H (-3.5659, 0.6752, 0.3055)  0.087
H (-1.3947, 0.1487, 1.5919)  0.093
H (-0.4640, 0.6854, 0.1727)  0.070
H (-0.9439, 3.5501, 5.4807)  0.093
H (-2.2608, 0.8915, 6.4467)  0.080
H (-0.5820, 2.1912, 8.4722)  0.043
H (-2.4050, 2.0912, 8.4194)  0.073
H (-1.5125, 3.5127, 7.6789)  0.060
C (-9.5472, -0.0615, 1.5657)  -0.086
C (-8.5004, -1.1569, 1.6837)  -0.292
O (-7.2749, -0.8423, 1.0507)  -0.162
C (-6.5986, 0.3129, 1.5337)  -0.263
C (-6.2315, 0.2353, 3.0040)  -0.067
H (-9.7443, 0.1657, 0.5154)  0.079
H (-10.4804, -0.3759, 2.0386)  0.072
H (-9.2254, 0.8633, 2.0462)  0.064
H (-8.8744, -2.0582, 1.1938)  0.114
H (-8.3288, -1.4227, 2.7322)  0.104
H (-7.1889, 1.2112, 1.3235)  0.109
H (-5.6877, 0.4004, 0.9451)  0.103
H (-7.1154, 0.1536, 3.6409)  0.062
H (-5.6818, 1.1286, 3.3059)  0.076
'''
The molecular data stop here:
  • Understand that people aren’t perfect. People are going to let you down 100% of the time. They will. At some point every human will let you down. You can either understand this and offer them God’s grace (grace – freely given unmerited love of God) or you can fault them for being imperfect. Now I believe that the Bible teaches us to be wise. If someone continually hurts you or doesn’t have your best interest in mind then you should remove yourself from them and not allow them to hurt you. But if someone hurt you and it was either because they are imperfect and made a bad judgment call or because they had your best interest in mind, but it wasn’t what you wanted then understanding that humans are imperfect helps alleviate some of the pain.